Hello, bladies and bladers! We hope you are all doing well and have some time on your hands because this post is going to be long. Grab some snacks, make yourself comfortable, and we will talk about upcoming projects, changes, and other things. This post even has videos (both high and low quality)! Our main topics for today are: the ROCKIN’ 572 frame and ROCKIN’ H-blocks.

How we came up with the 572 and H-blocks
We got the idea of making the H-blocks a while ago because of our interest in aggressive skating. Other projects have kept us busy though (hopefully you have heard about some of them): big wheel rockered UFS frames, actual big wheels, and bearings. They have been completed now, and having released a certain number of products, we now have the time and funds, and as ever the desire to start working on the H-blocks.
The idea came into existence during our (Anastasia and Jevgeny’s) skating sessions. They usually go like this: we skate for about 15 minutes through the suburbs, and get to our local skatepark. We warm up and do some skatepark activities like stalls, pumping and jumping on quarters, halfpipe, and so on. Once we get a bit tired, we skate further on and after another 10 minutes we arrive at a large area that is great for flatland skating. We practice some wizardskating and flatland skills, and then it’s just a 6km tour to finish the session and get home.
Having spent some time at the skate park I thought: how much more freedom would it give me if I had some H-blocks to put onto my frames! To tell you the truth, when I got that idea I hadn’t even tried grinding. I was only hoping to try it someday.
I got even more excited when I thought to myself: what if I had a frame that could do both flatland and aggressive skating elements? Like a 70/30 mix of flatland and aggressive, maybe?
I talked to several people about my idea. This is how I came to talk with Justin Thursday for the first time after having followed his work for quite a while. Sometime later we made our first H-block prototypes that were specially designed to fit the upcoming frame prototype, ROCKIN’ 572. The frames were expected to arrive in 3-4 weeks. I couldn’t wait that long and mounted the H-blocks onto the ROCKIN’ 576 for their first test. I could not grind back then, but I could stall and skate. Which I promptly did and as one can imagine, I was very impressed. It was exactly what I had dreamt of. I even made several attempts at a soulgrind and to my surprise, I managed to do my very first one that day.
We were off to a great start and 3 weeks later we received the prototypes of the 572 frames. 4 pairs were sent to skaters of varying skill levels for testing and research. Soon enough, the feedback started coming in.
Reports from our testers
The first video report we got was from Ulf Wolf (YouTube Channel, Instagram: @momix.61).

Onno Kael (Instagram: @onnokael) contacted me after several testing sessions, and here is what he said:
“I had a short session on a PRail and on a small curb and would like to share my thoughts on the frame and H-block. First, both the frame and the H-Block are grinding (sliding) super well on both PVC and metal. For curbs, one would need a lot of wax. No sign of wheelbite whatsoever. The H-block is actually very well-designed. This setup is tons of fun. But. The frame has that heel lift and all my boots have a heel raise as well. Together this gives me a kind of “high heels” feeling. Soulgrinds and frontsides were great, but as for Topsides and Royals the frame is too high and one can’t get the boot low enough (at least for me). I skated the frame with 5 wheels as well and found the rocker less pronounced.”
We got most information and input from the awesome skater Marco Grandotto (Instagram: @marcograndotto) and here’s the edit Marco came up with after frame testing:
Here is what Marco thinks about this whole project:
When I first got the 572 frames I didn’t know what to expect. I was in for a surprise!
They are shorter than my standard swivel setup, which is why I found them so strange in the first few minutes I had them on. I skated the 5-configuration twice just to check it out, and then switched to the H-block configuration which is where it’s at with the 572 frames.
The H-block setup is where they shine. They are like Oysi’s big brother, but having the same size wheels is a benefit in terms of stability and speed (my god, how fast I can be in the bowl, scary!). The 2nd and 4th wheels are also a tiny bit closer to the H-block than on the Oysi, and the H-block is not so wide. This makes you have to skate a bit more precisely to avoid wheelbite, but I’ve never gotten it to be honest.
The H-block configuration is still very swively but way more stable than the 5-wheel one, it is responsive and solid, and easy to control.
Another aspect that surprised me is how very light they are. The grinding experience was good, though in the beginning they were slower than my other aluminum setup. In my latest sessions I noticed they are sliding really well even without wax, probably this material needs a bit extra breaking in time. With a bit of wax on the copings the slide is impressively fast, so smooth you can barely feel the coping. Also, the block design seems to be perfect for the purpose. The overall design is great and even as I was doing wizard moves I didn’t feel anything was sticking or was somehow wrong in the frame; a really smooth experience.
The only thing missing with this frame is the possibility to do royales, which it isn’t intended for. But in the end it gives you more than what it takes away. I have been skating aggressively since ‘95, so grinding is a really big part of my skating experience. With wizard skating, grinds are something you don’t really need, don’t do, and do not consider at all, at least for “pure” wizard skating. The possibility to mix the two styles opens up a whole new dimension. I believe this frame is for wizard skaters who want to grind, rather than for aggressive people who want to wiz. Being able to mix the two styles with a rockered setup like this instead of a flat one makes you focus more on the tricks than on driving the frames correctly, as they feel so natural.
Also, I wanted to show in my video how fast the change from the 5- to the 4-wheel configuration (and vice versa) is, which I think is a strong selling point for this frame. For real, I wanna do unities and royales so bad, but when I have to grab a pair for the session I’d rather take the 572s as they are. I’m glad I can skate them, thank you again and again.
I can definitely say the frame has my stamp of approval, and I really hope many people with an open and experimentally curious mind buy it.
My personal experience and thoughts about these 2 projects
Now back to my story, let’s pick up when I actually got my hands (feet) on the 572 frames and mounted the H-blocks onto them.
It’s very clear how good of an aggressive skater I am in this video. Basically, it’s me skating this frame for the first time and trying to do a soulgrind.
I was pretty happy after this very short session. Every new thing is hard when we’re just beginning to learn it. In my second session I started landing my feet where they needed to be and at the end of it I already started getting some grinds.
The 3rd session is where it really became fun and the fear of falling or sliding out was gone.
Then I saw that I was able to make more attempts in one session and actually got the feel for grinds.
The 4th session was the most fun back then as I was able to get some speed and wasn’t afraid to miss the P-Rail anymore. Practice is everything.
Sometime around 4 weeks later I started practicing in skateparks and in a mini ramp. Nothing spectacular still, but I started trying frontsides and soulstalls as well.
2 weeks and ~10 sessions later is basically where I am now. My soulgrinds on low ledges have become quite stable and they actually feel good. The longest souldgrind I got so far was about 3.5 meters long and was really fun. The stalls I do in the mini ramp have gotten much better and I am kind of happy with my current results.
I think this can be called a proof of concept.
My personal conclusions:
1) I got wheelbite maybe 5-7 times altogether. The H-Block is really preventing me from getting it. Powerslide RAW RED (85A) and Rollerblade Supreme (used to be 80mm, worn down to exactly 72mm) (85A) wheels were used.
2) My progress with stalls and soulgrinds is remarkable (for me at least).
3) The frame is great fun to skate.
4) The agility appears to make it more pleasant to skate aggressively as well.
5) One is able to do most of the flatland moves and powerstops and powerslides don’t make the frame catch the ground and slide away.
6) The frame grinds better after the walls have been scratched.
7) Due to my frequent skating on heelraised frames I did not really feel the heel raise on the frame at all.
8) Hblocks alone seem like an “aggressive skating starter pack” and will allow to learn basic grinds such as soulgrind, mizou, makio, frontside/backside and some other. But offcourse, some grinds won’t be possible at all (royale for example).
Conclusions and changes based on testing
We realized the frame had some great potential, but several things needed changing:
1) The real frame will be made 1.5mm lower than the prototype,
2) The heel lift will be reduced a bit,
3) The rocker will be made a tiny bit less pronounced,
4) The H-Blocks functional design originally created by Justin Thursday won’t be changed.
We see this particular setup as an awesome tool for flatland skaters who want to expand their interests and get into aggressive skating. We believe that it might work the other way around too: for aggressive skaters who would love to try flatland. The H-Blocks alone are the easiest and probably cheapest (the retail price of the H-blocks still remains unclear) way to try aggressive skating along with flatland.
More detailed specifics of ROCKIN’ 572 and ROCKIN’ H-blocks
We have also decided to make the H-blocks compatible with as many products on the market as possible. A solution was found that will allow them to fit all the 5-wheeled ROCKIN’ Frames, as well as other 5-wheeled frames. We have tested them on some third-party frames and they work well. We will not be providing the list of compatible products until we confirm some details with other companies. The H-Blocks will be made of glass-filled-nylon and they will come in color black with some minor hardware.
Packaging of a default ROCKIN’ 572 will contain:
– ROCKIN’ 572 Frames (1 pair)
– ROCKIN’ H-Blocks (1 pair) (Designed by Justin Thursday)
(Someone pasted calculated crystals at this point)
Entry 1:
PBE with a Hubbard U LiFeWClO4, optimized geometry; energy above the most stable polymorph in this dataset = 0 meV per atom; total energy after the MP2020 corrections = -7.5598 eV/atom; formation energy from the elements = -187 kJ per mole of atoms
1.0
5.117 0.000 -0.150
0.000 7.028 0.001
-0.025 0.001 7.239
Li Fe W Cl O
2 2 2 2 8
Cartesian
5.092 0.002 7.088
-0.024 3.514 7.239
1.606 5.271 1.781
3.483 1.758 5.309
2.558 1.757 1.641
2.535 5.271 5.448
0.955 1.758 5.588
4.140 5.271 1.502
3.856 1.757 0.352
1.238 5.272 6.737
3.350 1.757 3.244
1.740 5.271 3.847
1.502 0.276 1.462
3.590 6.754 5.626
3.590 3.789 5.627
1.503 3.239 1.463


Entry 2:
PBE with a Hubbard U MgFe2Mo2Cl2O8, optimized geometry; energy above the most stable polymorph in this dataset = 96 meV per atom; total energy after the MP2020 corrections = -7.3586 eV/atom; formation energy from the elements = -173 kJ per mole of atoms
1.0
-0.876 6.519 2.649
-1.704 -2.691 6.050
5.591 0.068 1.611
Mg Fe Mo Cl O
1 2 2 2 8
Cartesian
2.083 5.346 4.895
2.295 2.952 7.757
0.618 0.913 2.511
3.999 -0.325 6.781
-0.901 4.214 3.548
3.011 0.949 3.204
-0.020 2.877 7.080
0.212 5.389 4.390
3.153 4.012 6.093
3.811 5.050 3.763
-0.007 2.775 3.158
2.960 1.106 7.126
-0.967 -1.071 6.713
3.113 -1.642 5.945
-0.230 0.092 4.103

~~~~~

# 1
Crystalline MgCoBiO5 at its relaxed geometry. Source: the Materials Project database, functional PBE with a Hubbard U.

CIF file:
```
data_MgCoBiO5
_cell_length_a 5.352
_cell_length_b 10.553
_cell_length_c 8.283
_cell_angle_alpha 90.00
_cell_angle_beta 110.44
_cell_angle_gamma 90.00
_symmetry_space_group_name_H-M 'P 1'
_symmetry_Int_Tables_number 1
_symmetry_space_group_name_Hall 'P 1'
loop_
_atom_site_label
_atom_site_fract_x
_atom_site_fract_y
_atom_site_fract_z
_atom_site_occupancy
Mg1 0.045 0.086 0.176 1
Mg2 0.045 0.414 0.676 1
Mg3 0.955 0.586 0.324 1
Mg4 0.955 0.914 0.824 1
Co1 0.342 0.623 0.043 1
Co2 0.342 0.877 0.543 1
Co3 0.658 0.123 0.457 1
Co4 0.658 0.377 0.957 1
Bi1 0.472 0.105 0.843 1
Bi2 0.472 0.395 0.343 1
Bi3 0.528 0.605 0.657 1
Bi4 0.528 0.895 0.157 1
O1 0.193 0.716 0.493 1
O2 0.193 0.784 0.993 1
O3 0.200 0.536 0.183 1
O4 0.200 0.964 0.683 1
O5 0.254 0.042 0.006 1
O6 0.254 0.458 0.506 1
O7 0.321 0.559 0.832 1
O8 0.321 0.941 0.332 1
O9 0.332 0.204 0.324 1
O10 0.332 0.296 0.824 1
O11 0.668 0.704 0.176 1
O12 0.668 0.796 0.676 1
O13 0.679 0.059 0.668 1
O14 0.679 0.441 0.168 1
O15 0.746 0.542 0.494 1
O16 0.746 0.958 0.994 1
O17 0.800 0.036 0.317 1
O18 0.800 0.464 0.817 1
O19 0.807 0.216 0.007 1
O20 0.807 0.284 0.507 1
```

For the polymorph energy (0 for the lowest one), the calculation gives 0.0 meV/atom. As for the crystal system: monoclinic. As for the symmetry: P2_1/c, No. 14. The energy relative to the elements comes out at -1687 meV/atom.

# 2
Crystalline MgCo2Bi2O8 at its relaxed geometry. Source: the Materials Project database, functional PBE with a Hubbard U.

CIF file:
```
data_MgCo2Bi2O8
_cell_length_a 6.338
_cell_length_b 6.338
_cell_length_c 6.338
– 10x Axles
– 10x Wheel spacers
– 8x M6 mounting bolts (10mm and 16mm)
ROCKIN’ Adapters will most probably not be included with the ROCKIN’ 572 frames. Let us know if you think that they should be.
The default colors of the ROCKIN’ 572 Frames will be black (as always) and silver.
Wheelbase: 292mm
Special thanks to Justin Thursday for his amazing work.

Release dates
We have finally come to a point where we can name the release dates (approximately): late November / early December 2022.
Okay guys, that’s it.
Right now we are already preparing the next post about upcoming changes in our packaging, branding, frames, and products.
Stay tuned.
– Anastasia and Jevgeny
Oh my, this is so exciting! Would love to try grinding with that 572 frame. And if I read it correctly, I’d also be able to grind on my MIX5 frame? That would be awesome!
Yes, H-blocks will also be compatible with MIX5 frames 🙂